Wednesday, July 1, 2009


It has been a long time since I have really written anything but tonight I feel inspired. On the way home, I looked up in the sky and saw a clear almost black sky...and beheld the beautiful white moon shining pure light. What a beautiful night. I know the stars are out there but they were not visible at all....the bright light of the moon outshone them. It was breathtaking. And somehow, in seeing that, it made me realize something. Sometimes, things about you shine so brightly, that all of the rest of the small nicks and imperfections in you are not visible as long as you let your bright light shine. For a long time, I was dull and lackluster. I let the bright light within me become faded and forgot what really made me who I am from the inside out. I finally feel shiny again...and it makes me overwhelmed to think of how dull my light had really become and why. I also know that I will never allow that to happen to me again. I have love, adoration and gifts to give. And although I didn't believe or know how I would ever be able to give them again, somehow I have found my way back into truly living once again.

I must say that it is interesting how life sometimes forces you to look at the journey and not the final destination. What is the destination really? These last 6 months, although brutal at times, have really forced me to look at the journey without knowing the destination at all. Still don't. I really didn't know where the path was leading....I just knew in me, even on my most difficult days, that there were reasons for it all and I just had to trust in the universe that the lessons that were there for me would be learned and I would become better for the experience. There were days when I didn't know how I would come through. Moments where I believed that I was so damaged that I didn't think I would recover. Times when I thought my walls were so high, I didn't know if they could every come tumbling down. But I have learned that although the walls were constructed, I forgot the mortar. And I am glad to know that the damage was not permanent. And although I am left with some battle scars, they are mostly healed and almost mended.

The thing is...I have these friends. These women who have raised me up at times when I really didn't believe in myself the fact that I would make it through. They continually reminded me of my value, generosity, freedom of my spirit. They reminded me that although I had been told certain things for a very long time...that I started to believe were my really wasn't at all who I was or what I was about. It is funny how when you are told certain things for a long enough period of time, you begin to believe in them. And although we are all faulty in some way...and everyone is less than perfect...the things that others say do not always truly define who we are....they are simply subjective opinions. I did begin to believe certain things because, again, when you hear them enough, you do start to take them on. But what I have seen through my healing, my girlfriends constantly shining this light on me, is that I have always been whole. I just forgot how to shine.

I have learned certain truths about myself. I need, mostly more than anything, to be heard. For a really long time my voice seemed to carry no weight whatsoever. No matter what I said, or how I said it, I was not heard at all. I felt like I was in a vacuum and no matter what I said or how I said it, I appeared to be the only one who could hear me. Interestingly enough, my 'flaws' were continuously pointed out to me...although the flaws that were being highlighted were completely false and had nothing to do with who I was...and everything to do with the flaws of another. And I am the first to admit that I have chinks in my armor...but they do not define me.

I have amazing support and love all around me that has really been apparent through this part of my life's journey. My girlfriends, my sisters, they never let me forget that I am the sum of my parts....and that the parts create a whole that are perfect in the imperfections of me. I finally feel ready to allow certain things to come my way that I really didn't know how I would be able to see again....let alone embrace or desire.

The question in my life became, how does one summon up the strength to carry on when you feel like you have nothing left to give. But continually I found a way to trust in the universe and that the path it was taking me on was for reasons I was yet to know or to discover. But with time, I just decided to trust. I didn't understand fully why my life went so upside down or want to trust that it was all for reasons that was yet unknown to me. What I found first is that even when I felt I was the most tapped out, I always found a way to be there for these women in my life when they were having trouble too. When I didn't believe I had anything to give, someone would need shoulder, and no matter how I felt at the time, I always had something left for them. This lead me to realize that even when you feel like you don't have anymore...there is always a little more left inside when I really needed to be there for them. And part of the journey was discovering that....I could do this for myself as well. Part of this journey was seeing that even when I felt I had nothing for them, I always did. That lead me to realize that even when I didn't think I had anything left to give myself, I really did have it inside of me all along. And what a gift that was. As I started to learn these lessons that the universe was showing me, things slowly started falling in line. I found my job that I love after being in a job that continually made me feel inept and stupid although I know I am neither. My car was repaired after the accident without me having to pay a dime. I started to know my way around the new city I lived in and didn't resent having to be here...I started to like it here and feel lucky that I have a mother who loves me this much. I started to see my past as my past and release it so that I could embrace the new now that was my reality. I really resisted the change even though in a lot of ways, it was created by me and for very very good reason. And finally, I started to feel normal....well, my 'normal' anyway. I started to see the value in those amazing people around me...and how we all struggled but always had enough left over to give to the other. And I started to smile again. To trust that really, this journey was all about rediscovering things that laid dormant or were hampered for one reason or another.

____________
Record 1
PBE Dy2Ho3Hg7, optimized geometry; formation energy from the elements = -298 meV/atom; ρ = 11.5 Mg/m³
1.0
2.587 -11.446 0.000
2.587 11.446 0.000
0.000 0.000 5.409
Dy Ho Hg
2 3 7
Cartesian
2.587 8.137 0.000
2.587 -8.137 0.000
2.587 3.774 2.704
2.587 0.000 2.704
2.587 -3.774 2.704
0.000 0.000 0.000
2.587 9.536 2.704
2.587 5.074 0.000
2.587 1.717 0.000
2.587 -1.717 0.000
2.587 -5.074 0.000
2.587 -9.536 2.704


Record 2
PBE HfSnBi, optimized geometry; formation energy from the elements = -193 meV/atom; ΔE to the lowest computed polymorph = 0.000 eV per atom; ρ = 11.2 Mg/m³
1.0
4.121 0.000 0.000
0.000 4.121 0.000
0.000 0.000 8.874
Hf Sn Bi
2 2 2
Cartesian
1.030 1.030 2.139
3.091 3.091 6.735
1.030 3.091 4.437
3.091 1.030 4.437
1.030 1.030 7.815
3.091 3.091 1.059


Which value of ρ does entry 1 give? 11.5 Mg/m³


Which of these has the highest formation energy from the elements? HfSnBi

~~~~~

(1)
## Rb2NaTl2 (GGA-PBE)

Data for Rb2NaTl2 after structural relaxation.

Cell: 8.490 8.490 6.281 Å, 90.00 90.00 90.00°
Positions (direct):
Na: 0.000 0.000 0.000
Na: 0.500 0.500 0.000
Tl: 0.374 0.874 0.000
Tl: 0.874 0.626 0.000
Tl: 0.626 0.126 0.000
Tl: 0.126 0.374 0.000
Rb: 0.179 0.679 0.500
Rb: 0.679 0.821 0.500
Rb: 0.821 0.321 0.500
Rb: 0.321 0.179 0.500

Polymorph energy (0 for the lowest one) ... 0.10 eV per formula unit
Fermi-level density of states ... 7.0 states/eV/cell
Spin magnetization ... 0.00 μB per formula unit

(2)
## Rb2Na3Tl2 (GGA-PBE)

Data for Rb2Na3Tl2 after structural relaxation.

Cell: 5.488 7.420 9.477 Å, 119.05 90.00 111.70°
Positions (direct):
Rb: 0.849 0.697 0.223
Rb: 0.151 0.303 0.777
Na: 0.500 0.000 0.000
Na: 0.652 0.305 0.434
Na: 0.348 0.695 0.566
Tl: 0.888 0.777 0.814
Tl: 0.112 0.223 0.186

Fermi-level density of states ... 3.3 states/eV/cell
Spin magnetization ... 0.00 μB per formula unit
Electronic total energy ... -1.57 eV per atom

(3)
## Rb2Na5Tl (GGA-PBE)

Data for Rb2Na5Tl after structural relaxation.

Cell: 8.817 8.815 8.815 Å, 144.74 95.96 95.96°
Positions (direct):
Rb: 0.489 0.929 0.230
Rb: 0.489 0.230 0.929
Na: 0.966 0.665 0.014
Na: 0.316 0.503 0.503
Na: 0.718 0.682 0.682
Na: 0.966 0.014 0.665
Na: 0.929 0.296 0.296
Tl: 0.128 0.903 0.903

Fermi-level density of states ... 4.6 states/eV/cell
____________
**The records of crystals stop here:**

Isn't it amazing how when we really open our eyes, we can truly start to see. And sometimes how blinded we really are because we hold so tightly to the past, we forget to embrace the now. As I sit and look around me today, I am constantly amazed at the people that are here in my for me each and every day to be near me, love me, listen to me and help me along this road that I thought I didn't want to be on only to find out that the road is beautiful. And that it is really where I needed to be for a very long time. Life sometimes come out of nowhere. You don't always see change coming. And I used to have a hard time with that. Rolling with the punches is hard for me. Change was a huge challenge. Playing by the rules....trying to be in control of certain things....well, it just isn't all it's cracked up to be really. I could only learn this by having my life spin out of control in every way imaginable to really see the things that are truly important...and the things that are really not. Part of the lesson is sometimes you have to open your hands. Let go. Adore all of the things that are new and allow them fully in even if it seems that you don't always know where they may lead. Sometimes you just have to trust that something greater than yourself is watching out for you and knows why you are on this road...even when fully, you do not.

I am so open and full of joy. Things that I have not experienced in so long...I can't even remember when I have felt this wholly full. I have a wonderful life..and I just forgot that. I forgot that I almost LOST my life to an illness...and how that changed my point of I wanted to remember that every minute counts. I forgot that I am enough as I stand...I am not broken, damaged or bad. I am fine. Just the way I am. As I stand today. Do I work on improving some things? Yes. Of course. Who doesn't? But I also have learned to like some of the things about me that I really didn't before. I am comfortable in my skin so much more so than I have been in a long time. I embrace the bigness of my personality at times. My loud laugh. My boldness. My courage. My voice that carries. Because they are the things that I am continually told by the people that matter that these are the parts of me that they love or admire the most. For quite a while, I felt like these things hindered me. My girlfriends continually told me that they not only did not, but that these things were wonderful and that if I changed a thing, they would be very upset with me. But the truth is that the passion with which I love....the unbridled way I embrace life....the strong bonds that I have created around me....well, these things are amazingly good.

And although I have felt the trial so strongly, from it I have emerged. Like a phoenix from the ashes...I had to be burned and stripped down to build back into the way I truly want to be. Full of life, love, joy and passion. I know I never lost these things really....they were always in there but I just forgot.

Now I am continually reminded of the good around me. To expect the unexpected and how sometimes things are thrown at you from a place you didn't know they were coming from...but that sometimes that is what is best. Sometimes it is those things hitting you that continue to make you feel alive...even when you still do not know where the journey is taking you in the end.

I am thankful, grateful and blessed to be. I love fully and with all that I am. I like that I am that way. I take chances and risks that a lot of other people won't take. I want to do things that are out of my candid.....feel in the thick of things....go places that I never thought I things I didn't think I was really made to do. I believed that living in my little box was the right place to be. But as someone close to me has said, rules are there for those that need them. And really, I don't need them. What I need is to be all of me...every part...and put it out there for those to see.

Funny enough, Dr. Suess put it best really. "
Be who you are and say what you feel, because those who matter don't mind, and those that mind, don't matter."

And in the words of me and my best best is simply time to just be.
